== File ==
Here is an optimized crystal structure of Ta3InP6O24 from the Materials Project. Energies are from PBE-GGA.

a = 8.8113 Å, b = 8.8113 Å, c = 22.7146 Å
α = 90.00°, β = 90.00°, γ = 120.00°
Closest atoms and distances in Å follow each position.
Element x y z (fractional)
P: 0.3762 0.3303 0.0830  4 O 1.49-1.58
O: 0.4893 0.3771 0.1363  1 P 1.49
O: 0.3176 0.4796 0.4713  1 P 1.55
Ta: 0.3333 0.6667 0.0234  6 O 1.92-2.03
P: 0.9541 0.6238 0.0830  4 O 1.49-1.58
P: 0.2875 0.0001 0.2516  4 O 1.49-1.61
O: 0.6248 0.5132 0.6390  1 P 1.51
P: 0.9539 0.3356 0.5827  4 O 1.51-1.58
Ta: 0.3333 0.6667 0.8079  6 O 1.94-2.03
O: 0.3640 0.8640 0.8618  1 P 1.54
O: 0.1733 0.9737 0.9059  1 P 1.55
Ta: 0.0000 0.0000 0.1476  6 O 1.94-2.06
O: 0.8501 0.3180 0.2407  1 P 1.49
O: 0.8358 0.5309 0.0274  1 P 1.58
O: 0.1639 0.1976 0.6957  1 P 1.54
O: 0.5357 0.8300 0.7618  1 P 1.58
O: 0.1735 0.4698 0.2587  1 P 1.58
O: 0.7953 0.9730 0.4138  1 P 1.49
O: 0.4671 0.1655 0.5288  1 P 1.54
O: 0.6952 0.1642 0.0274  1 P 1.58
P: 0.3347 0.9510 0.9162  4 O 1.53-1.55
O: 0.1863 0.1698 0.8055  1 P 1.56
O: 0.6229 0.1123 0.1363  1 P 1.49
O: 0.1620 0.6824 0.4713  1 P 1.55
O: 0.2963 0.8265 0.2587  1 P 1.58
O: 0.5099 0.8609 0.0676  1 P 1.57
P: 0.2821 0.2823 0.7500  4 O 1.50-1.58
O: 0.1948 0.0253 0.5926  1 P 1.58
O: 0.1391 0.6490 0.0676  1 P 1.57
In: 0.6667 0.3333 0.1879  6 O 2.07-2.14
O: 0.1397 0.4884 0.5696  1 P 1.54
O: 0.6951 0.1569 0.7465  1 P 1.50
O: 0.8199 0.7920 0.3059  1 P 1.50
O: 0.1777 0.2047 0.4138  1 P 1.49
O: 0.2942 0.4643 0.7618  1 P 1.58
Ta: 0.6667 0.3333 0.9786  6 O 1.97-2.01
P: 0.6697 0.0459 0.0830  4 O 1.49-1.58
O: 0.5000 0.6360 0.8618  1 P 1.54
Ta: 0.3333 0.6667 0.5211  6 O 1.95-1.98
O: 0.0263 0.1997 0.9059  1 P 1.55
O: 0.1930 0.1687 0.0903  1 P 1.54
O: 0.5045 0.3725 0.4282  1 P 1.57
O: 0.9835 0.8137 0.8055  1 P 1.56
O: 0.4955 0.1342 0.9274  1 P 1.55
O: 0.8431 0.5381 0.7465  1 P 1.50
O: 0.4691 0.3048 0.0274  1 P 1.58
O: 0.8302 0.0165 0.8055  1 P 1.56
P: 0.0490 0.3837 0.9162  4 O 1.53-1.55
O: 0.5313 0.6961 0.9704  1 P 1.53
O: 0.8884 0.3752 0.6390  1 P 1.51
O: 0.3039 0.8352 0.9704  1 P 1.53
P: 0.9999 0.2874 0.2516  4 O 1.49-1.61
Ta: 0.0000 0.0000 0.6404  6 O 1.95-2.05
O: 0.1647 0.9668 0.1951  1 P 1.61
Ta: 0.6667 0.3333 0.4747  6 O 1.94-2.05
In: 0.6667 0.3333 0.6888  6 O 2.12-2.14
O: 0.1347 0.6317 0.3622  1 P 1.54
O: 0.0270 0.8223 0.4138  1 P 1.49
O: 0.8680 0.4955 0.4282  1 P 1.57
O: 0.5302 0.7037 0.2587  1 P 1.58
P: 0.6644 0.6183 0.5827  4 O 1.51-1.58
P: 0.6163 0.6653 0.9162  4 O 1.53-1.55
O: 0.8024 0.9662 0.6957  1 P 1.54
O: 0.9757 0.8070 0.0903  1 P 1.54
Ta: 0.3333 0.6667 0.3074  6 O 1.94-2.04
O: 0.3510 0.4901 0.0676  1 P 1.57
O: 0.8003 0.8267 0.9059  1 P 1.55
O: 0.4868 0.1116 0.6390  1 P 1.51
O: 0.5116 0.6513 0.5696  1 P 1.54
O: 0.6387 0.5045 0.9274  1 P 1.55
P: 0.3347 0.3843 0.4164  4 O 1.49-1.57
O: 0.4678 0.1499 0.2407  1 P 1.49
P: 0.7126 0.7125 0.2516  4 O 1.49-1.61
O: 0.1648 0.4687 0.9704  1 P 1.53
O: 0.8877 0.5107 0.1363  1 P 1.49
O: 0.0338 0.8361 0.6957  1 P 1.54
P: 0.0002 0.7179 0.7500  4 O 1.50-1.58
O: 0.1700 0.7058 0.7618  1 P 1.58
O: 0.8313 0.0243 0.0903  1 P 1.54
O: 0.8345 0.3016 0.5288  1 P 1.54
O: 0.5204 0.8380 0.4713  1 P 1.55
Ta: 0.0000 0.0000 0.8564  6 O 1.95-2.00
P: 0.6157 0.9504 0.4164  4 O 1.49-1.57
O: 0.4970 0.8653 0.3622  1 P 1.54
O: 0.8305 0.8052 0.5926  1 P 1.58
P: 0.7177 0.9998 0.7500  4 O 1.50-1.58
O: 0.4619 0.3049 0.7465  1 P 1.50
O: 0.8021 0.8353 0.1951  1 P 1.61
O: 0.9721 0.1801 0.3059  1 P 1.50
P: 0.3817 0.0461 0.5827  4 O 1.51-1.58
O: 0.1360 0.5000 0.8618  1 P 1.54
O: 0.2080 0.0279 0.3059  1 P 1.50
O: 0.6275 0.1320 0.4282  1 P 1.57
O: 0.9747 0.1695 0.5926  1 P 1.58
In: 0.0000 0.0000 0.3582  6 O 2.09-2.12
O: 0.8658 0.3613 0.9274  1 P 1.55
O: 0.3683 0.5030 0.3622  1 P 1.54
O: 0.6984 0.5329 0.5288  1 P 1.54
P: 0.0496 0.6653 0.4164  4 O 1.49-1.57
O: 0.3487 0.8603 0.5696  1 P 1.54
O: 0.0332 0.1979 0.1951  1 P 1.61
O: 0.6820 0.5322 0.2407  1 P 1.49

## Properties
== Work order ==
Start at the top of the listing above and give back each line, ending with the one that has "0.0002 0.7179".
== Completed ==
Here is an optimized crystal structure of Ta3InP6O24 from the Materials Project. Energies are from PBE-GGA.

a = 8.8113 Å, b = 8.8113 Å, c = 22.7146 Å
α = 90.00°, β = 90.00°, γ = 120.00°
Closest atoms and distances in Å follow each position.
Element x y z (fractional)
P: 0.3762 0.3303 0.0830  4 O 1.49-1.58
O: 0.4893 0.3771 0.1363  1 P 1.49
O: 0.3176 0.4796 0.4713  1 P 1.55
Ta: 0.3333 0.6667 0.0234  6 O 1.92-2.03
P: 0.9541 0.6238 0.0830  4 O 1.49-1.58
P: 0.2875 0.0001 0.2516  4 O 1.49-1.61
O: 0.6248 0.5132 0.6390  1 P 1.51
P: 0.9539 0.3356 0.5827  4 O 1.51-1.58
Ta: 0.3333 0.6667 0.8079  6 O 1.94-2.03
O: 0.3640 0.8640 0.8618  1 P 1.54
O: 0.1733 0.9737 0.9059  1 P 1.55
Ta: 0.0000 0.0000 0.1476  6 O 1.94-2.06
O: 0.8501 0.3180 0.2407  1 P 1.49
O: 0.8358 0.5309 0.0274  1 P 1.58
O: 0.1639 0.1976 0.6957  1 P 1.54
O: 0.5357 0.8300 0.7618  1 P 1.58
O: 0.1735 0.4698 0.2587  1 P 1.58
O: 0.7953 0.9730 0.4138  1 P 1.49
O: 0.4671 0.1655 0.5288  1 P 1.54
O: 0.6952 0.1642 0.0274  1 P 1.58
P: 0.3347 0.9510 0.9162  4 O 1.53-1.55
O: 0.1863 0.1698 0.8055  1 P 1.56
O: 0.6229 0.1123 0.1363  1 P 1.49
O: 0.1620 0.6824 0.4713  1 P 1.55
O: 0.2963 0.8265 0.2587  1 P 1.58
O: 0.5099 0.8609 0.0676  1 P 1.57
P: 0.2821 0.2823 0.7500  4 O 1.50-1.58
O: 0.1948 0.0253 0.5926  1 P 1.58
O: 0.1391 0.6490 0.0676  1 P 1.57
In: 0.6667 0.3333 0.1879  6 O 2.07-2.14
O: 0.1397 0.4884 0.5696  1 P 1.54
O: 0.6951 0.1569 0.7465  1 P 1.50
O: 0.8199 0.7920 0.3059  1 P 1.50
O: 0.1777 0.2047 0.4138  1 P 1.49
O: 0.2942 0.4643 0.7618  1 P 1.58
Ta: 0.6667 0.3333 0.9786  6 O 1.97-2.01
P: 0.6697 0.0459 0.0830  4 O 1.49-1.58
O: 0.5000 0.6360 0.8618  1 P 1.54
Ta: 0.3333 0.6667 0.5211  6 O 1.95-1.98
O: 0.0263 0.1997 0.9059  1 P 1.55
O: 0.1930 0.1687 0.0903  1 P 1.54
O: 0.5045 0.3725 0.4282  1 P 1.57
O: 0.9835 0.8137 0.8055  1 P 1.56
O: 0.4955 0.1342 0.9274  1 P 1.55
O: 0.8431 0.5381 0.7465  1 P 1.50
O: 0.4691 0.3048 0.0274  1 P 1.58
O: 0.8302 0.0165 0.8055  1 P 1.56
P: 0.0490 0.3837 0.9162  4 O 1.53-1.55
O: 0.5313 0.6961 0.9704  1 P 1.53
O: 0.8884 0.3752 0.6390  1 P 1.51
O: 0.3039 0.8352 0.9704  1 P 1.53
P: 0.9999 0.2874 0.2516  4 O 1.49-1.61
Ta: 0.0000 0.0000 0.6404  6 O 1.95-2.05
O: 0.1647 0.9668 0.1951  1 P 1.61
Ta: 0.6667 0.3333 0.4747  6 O 1.94-2.05
In: 0.6667 0.3333 0.6888  6 O 2.12-2.14
O: 0.1347 0.6317 0.3622  1 P 1.54
O: 0.0270 0.8223 0.4138  1 P 1.49
O: 0.8680 0.4955 0.4282  1 P 1.57
O: 0.5302 0.7037 0.2587  1 P 1.58
P: 0.6644 0.6183 0.5827  4 O 1.51-1.58
P: 0.6163 0.6653 0.9162  4 O 1.53-1.55
O: 0.8024 0.9662 0.6957  1 P 1.54
O: 0.9757 0.8070 0.0903  1 P 1.54
Ta: 0.3333 0.6667 0.3074  6 O 1.94-2.04
O: 0.3510 0.4901 0.0676  1 P 1.57
O: 0.8003 0.8267 0.9059  1 P 1.55
O: 0.4868 0.1116 0.6390  1 P 1.51
O: 0.5116 0.6513 0.5696  1 P 1.54
O: 0.6387 0.5045 0.9274  1 P 1.55
P: 0.3347 0.3843 0.4164  4 O 1.49-1.57
O: 0.4678 0.1499 0.2407  1 P 1.49
P: 0.7126 0.7125 0.2516  4 O 1.49-1.61
O: 0.1648 0.4687 0.9704  1 P 1.53
O: 0.8877 0.5107 0.1363  1 P 1.49
O: 0.0338 0.8361 0.6957  1 P 1.54
P: 0.0002 0.7179 0.7500  4 O 1.50-1.58